• Job:
It remains to write out the whole of the contents below word for word.

• Entries:
w | Cu2RuW after structural relaxation, computed with PBEsol.

a b c (Å): 2.6445 4.0442 4.9962
angles (deg): 90.00 100.65 90.00
Closest atoms and distances in Å follow each position.
Fractional positions:
Cu  0.8352  0.0000  0.0056  2 Cu 2.34, 1 Ru 2.55
Cu  0.9153  0.5000  0.2454  2 Cu 2.34, 1 W 2.54
Ru  0.4968  0.0000  0.4924  7 Cu 2.55-2.74, 2 W 2.56, 2 Ru 2.64
W  0.2526  0.5000  0.7565  7 Cu 2.54-2.75, 2 Ru 2.56, 2 W 2.64

Values from the calculation:
**Density**: 13.0 g/cm3
**Total magnetic moment**: 0.000 μB per atom
**Space group**: No. 6

---

x | Cu2RuW after structural relaxation, computed with PBEsol.

a b c (Å): 3.7131 3.7167 4.5722
angles (deg): 113.98 113.96 90.00
Closest atoms and distances in Å follow each position.
Fractional positions:
Cu  0.0000  0.0000  0.0001  4 Ru 2.63, 4 Cu 2.64, 4 W 2.64
Cu  0.7500  0.2500  0.4999  4 W 2.63, 4 Cu 2.64, 4 Ru 2.64
Ru  0.5000  0.5000  0.9999  8 Cu 2.63-2.64, 4 W 2.64
W  0.2500  0.7500  0.5001  8 Cu 2.63-2.64, 4 Ru 2.64

Values from the calculation:
**Density**: 13.2 g/cm3
**Total magnetic moment**: 0.000 μB per atom
**Space group**: No. 119

---

y | Cu2RuW after structural relaxation, computed with PBEsol.

a b c (Å): 3.0795 3.0795 5.5412
angles (deg): 90.00 90.00 90.00
Closest atoms and distances in Å follow each position.
Fractional positions:
Cu  0.0000  0.0000  0.0228  4 Cu 2.46, 1 Ru 2.66, 4 W 2.66
Cu  0.5000  0.5000  0.2279  4 Cu 2.46, 4 Ru 2.66, 1 W 2.67
Ru  0.0000  0.0000  0.5026  4 W 2.56, 5 Cu 2.66
W  0.5000  0.5000  0.7467  4 Ru 2.56, 5 Cu 2.66-2.67

Values from the calculation:
**Density**: 13.0 g/cm3
**Total magnetic moment**: 0.000 μB per atom
**Space group**: No. 99

---

Q: Which of them is the least stable? A: w.

----------

Material: Ba2CdAg4Pb3
Method: DFT, PBE
State: optimized geometry

Structure (extended XYZ):
```
10
Lattice="5.0158 0.0000 0.0000 0.0000 5.0158 0.0000 0.0000 0.0000 11.5307" Properties=species:S:1:pos:R:3 pbc="T T T"
Ba 0.0000 2.5079 2.7723
Ba 2.5079 0.0000 8.7584
Cd 0.0000 0.0000 5.7654
Ag 0.0000 0.0000 0.0000
Ag 0.0000 2.5079 7.2168
Ag 2.5079 0.0000 4.3140
Ag 2.5079 2.5079 0.0000
Pb 0.0000 2.5079 10.0467
Pb 2.5079 0.0000 1.4840
Pb 2.5079 2.5079 5.7654
```

Results
ρ (Mg/m³): 8.24
Density of states at the Fermi level (states/eV/f.u.): 4.8
Calculated formation energy (eV/atom): -0.25
E_tot (eV per atom): -2.98

----------

Entry 1:
# SrTc2Cl, relaxed, DFT PBE-GGA
# Total energy (eV/atom): -5.07
# Formation energy without anion corrections (eV/atom): 0.9937
# SG: P4/mmm, No. 123
# Energy above the most stable polymorph in this dataset (eV/atom): 1.055
# DOS at the Fermi energy (states/eV/cell): 4.61
data_SrTc2Cl
_cell_length_a 3.868
_cell_length_b 3.868
_cell_length_c 5.892
_cell_angle_alpha 90.00
_cell_angle_beta 90.00
_cell_angle_gamma 90.00
_space_group_name_H-M_alt 'P 1'
_space_group_IT_number 1
_space_group_name_Hall 'P 1'
loop_
_atom_site_label
_atom_site_type_symbol
_atom_site_fract_x
_atom_site_fract_y
_atom_site_fract_z
Tc1 Tc 0.000 0.000 0.430
Sr1 Sr 0.500 0.500 0.750
Tc2 Tc 0.000 0.000 0.070
Cl1 Cl 0.500 0.500 0.250



Entry 2:
# SrTc2Cl, relaxed, DFT PBE-GGA
# Total energy (eV/atom): -6.12
# Formation energy without anion corrections (eV/atom): -0.0586
# SG: P4mm, No. 99
# Energy above the most stable polymorph in this dataset (eV/atom): 0.002
# DOS at the Fermi energy (states/eV/cell): 3.23
data_SrTc2Cl
_cell_length_a 3.445
_cell_length_b 3.445
_cell_length_c 8.640
_cell_angle_alpha 90.00
_cell_angle_beta 90.00
_cell_angle_gamma 90.00
_space_group_name_H-M_alt 'P 1'
_space_group_IT_number 1
_space_group_name_Hall 'P 1'
loop_
_atom_site_label
_atom_site_type_symbol
_atom_site_fract_x
_atom_site_fract_y
_atom_site_fract_z
Tc1 Tc 0.000 0.000 0.058
Tc2 Tc 0.500 0.500 0.119
Cl1 Cl 0.000 0.000 0.570
Sr1 Sr 0.500 0.500 0.752



Entry 3:
# Sr2TcCl, relaxed, DFT PBE-GGA
# Total energy (eV/atom): -4.03
# Formation energy without anion corrections (eV/atom): -0.1336
# SG: Amm2, No. 38

• Solution:
w | Cu2RuW after structural relaxation, computed with PBEsol.

a b c (Å): 2.6445 4.0442 4.9962
angles (deg): 90.00 100.65 90.00
Closest atoms and distances in Å follow each position.
Fractional positions:
Cu  0.8352  0.0000  0.0056  2 Cu 2.34, 1 Ru 2.55
Cu  0.9153  0.5000  0.2454  2 Cu 2.34, 1 W 2.54
Ru  0.4968  0.0000  0.4924  7 Cu 2.55-2.74, 2 W 2.56, 2 Ru 2.64
W  0.2526  0.5000  0.7565  7 Cu 2.54-2.75, 2 Ru 2.56, 2 W 2.64

Values from the calculation:
**Density**: 13.0 g/cm3
**Total magnetic moment**: 0.000 μB per atom
**Space group**: No. 6

---

x | Cu2RuW after structural relaxation, computed with PBEsol.

a b c (Å): 3.7131 3.7167 4.5722
angles (deg): 113.98 113.96 90.00
Closest atoms and distances in Å follow each position.
Fractional positions:
Cu  0.0000  0.0000  0.0001  4 Ru 2.63, 4 Cu 2.64, 4 W 2.64
Cu  0.7500  0.2500  0.4999  4 W 2.63, 4 Cu 2.64, 4 Ru 2.64
Ru  0.5000  0.5000  0.9999  8 Cu 2.63-2.64, 4 W 2.64
W  0.2500  0.7500  0.5001  8 Cu 2.63-2.64, 4 Ru 2.64

Values from the calculation:
**Density**: 13.2 g/cm3
**Total magnetic moment**: 0.000 μB per atom
**Space group**: No. 119

---

y | Cu2RuW after structural relaxation, computed with PBEsol.

a b c (Å): 3.0795 3.0795 5.5412
angles (deg): 90.00 90.00 90.00
Closest atoms and distances in Å follow each position.
Fractional positions:
Cu  0.0000  0.0000  0.0228  4 Cu 2.46, 1 Ru 2.66, 4 W 2.66
Cu  0.5000  0.5000  0.2279  4 Cu 2.46, 4 Ru 2.66, 1 W 2.67
Ru  0.0000  0.0000  0.5026  4 W 2.56, 5 Cu 2.66
W  0.5000  0.5000  0.7467  4 Ru 2.56, 5 Cu 2.66-2.67

Values from the calculation:
**Density**: 13.0 g/cm3
**Total magnetic moment**: 0.000 μB per atom
**Space group**: No. 99

---

Q: Which of them is the least stable? A: w.

----------

Material: Ba2CdAg4Pb3
Method: DFT, PBE
State: optimized geometry

Structure (extended XYZ):
```
10
Lattice="5.0158 0.0000 0.0000 0.0000 5.0158 0.0000 0.0000 0.0000 11.5307" Properties=species:S:1:pos:R:3 pbc="T T T"
Ba 0.0000 2.5079 2.7723
Ba 2.5079 0.0000 8.7584
Cd 0.0000 0.0000 5.7654
Ag 0.0000 0.0000 0.0000
Ag 0.0000 2.5079 7.2168
Ag 2.5079 0.0000 4.3140
Ag 2.5079 2.5079 0.0000
Pb 0.0000 2.5079 10.0467
Pb 2.5079 0.0000 1.4840
Pb 2.5079 2.5079 5.7654
```

Results
ρ (Mg/m³): 8.24
Density of states at the Fermi level (states/eV/f.u.): 4.8
Calculated formation energy (eV/atom): -0.25
E_tot (eV per atom): -2.98

----------

Entry 1:
# SrTc2Cl, relaxed, DFT PBE-GGA
# Total energy (eV/atom): -5.07
# Formation energy without anion corrections (eV/atom): 0.9937
# SG: P4/mmm, No. 123
# Energy above the most stable polymorph in this dataset (eV/atom): 1.055
# DOS at the Fermi energy (states/eV/cell): 4.61
data_SrTc2Cl
_cell_length_a 3.868
_cell_length_b 3.868
_cell_length_c 5.892
_cell_angle_alpha 90.00
_cell_angle_beta 90.00
_cell_angle_gamma 90.00
_space_group_name_H-M_alt 'P 1'
_space_group_IT_number 1
_space_group_name_Hall 'P 1'
loop_
_atom_site_label
_atom_site_type_symbol
_atom_site_fract_x
_atom_site_fract_y
_atom_site_fract_z
Tc1 Tc 0.000 0.000 0.430
Sr1 Sr 0.500 0.500 0.750
Tc2 Tc 0.000 0.000 0.070
Cl1 Cl 0.500 0.500 0.250



Entry 2:
# SrTc2Cl, relaxed, DFT PBE-GGA
# Total energy (eV/atom): -6.12
# Formation energy without anion corrections (eV/atom): -0.0586
# SG: P4mm, No. 99
# Energy above the most stable polymorph in this dataset (eV/atom): 0.002
# DOS at the Fermi energy (states/eV/cell): 3.23
data_SrTc2Cl
_cell_length_a 3.445
_cell_length_b 3.445
_cell_length_c 8.640
_cell_angle_alpha 90.00
_cell_angle_beta 90.00
_cell_angle_gamma 90.00
_space_group_name_H-M_alt 'P 1'
_space_group_IT_number 1
_space_group_name_Hall 'P 1'
loop_
_atom_site_label
_atom_site_type_symbol
_atom_site_fract_x
_atom_site_fract_y
_atom_site_fract_z
Tc1 Tc 0.000 0.000 0.058
Tc2 Tc 0.500 0.500 0.119
Cl1 Cl 0.000 0.000 0.570
Sr1 Sr 0.500 0.500 0.752



Entry 3:
# Sr2TcCl, relaxed, DFT PBE-GGA
# Total energy (eV/atom): -4.03
# Formation energy without anion corrections (eV/atom): -0.1336
# SG: Amm2, No. 38